• Data:
# 1
# Er4SnTe2S
Theoretical XRD peak list, Cu Kα X-rays. Input: the PBE geometry in Alexandria.
No peak broadening, texture or thermal motion is included.

Crystal structure
Lattice parameters (Å, degrees): 7.2684 4.2151 7.4379 90.00 109.20 90.00
Space group P2/m (No. 10)
Asymmetric unit:
Er 0.2265 0.0000 0.2161
Er 0.2451 0.5000 0.7724
Sn 0.5000 0.0000 0.0000
Te 0.0000 0.0000 0.5000
Te 0.5000 0.5000 0.5000
S 0.0000 0.5000 0.0000

The 10 most intense peaks (2θ from 10° to 90°), in order of falling intensity:
index  d/Å  Rel. int.
2 0 -2  2.996  100
3 1 -1  2.101  25
1 1 -3  2.137  23
2 2 -2  1.724  13
0 2 0  2.108  13
2 0 2  2.130  11
4 0 -4  1.498  11
5 1 -3  1.331  11
3 1 -5  1.349  9
4 0 0  1.716  6

# 2
# HfPaCuO6
Theoretical XRD peak list, Cu Kα X-rays. Input: the PBE geometry in Alexandria.
No peak broadening, texture or thermal motion is included.

Crystal structure
Lattice parameters (Å, degrees): 5.1935 5.1935 4.9061 90.00 90.00 120.00
Space group P312 (No. 149)
Asymmetric unit:
Hf 0.0000 0.0000 0.0000
Pa 0.6667 0.3333 0.5000
Cu 0.3333 0.6667 0.0000
O 0.0107 0.3398 0.2339

The 10 most intense peaks (2θ from 10° to 90°), in order of falling intensity:
index  d/Å  Rel. int.
1 0 1  3.315  100
1 1 0  2.597  36
2 -1 2  1.783  35
2 0 1  2.044  27
3 -1 1  1.606  25
1 0 0  4.498  14
3 0 0  1.499  11
1 0 3  1.537  11
3 1 1  1.209  10
2 1 3  1.179  9

# 3
# TlCu6Te4
Theoretical XRD peak list, Cu Kα X-rays. Input: the PBE geometry in Alexandria.
No peak broadening, texture or thermal motion is included.

Crystal structure
Lattice parameters (Å, degrees): 4.0848 4.0848 29.1432 90.00 90.00 90.00
Space group I4/mmm (No. 139)
Asymmetric unit:
Tl 0.0000 0.0000 0.0000
Cu 0.0000 0.5000 0.1286
Cu 0.0000 0.5000 0.2500
Te 0.0000 0.0000 0.1910
Te 0.0000 0.0000 0.4265

The 10 most intense peaks (2θ from 10° to 90°), in order of falling intensity:
index  d/Å  Rel. int.
1 0 5  3.345  100
2 0 0  2.042  42
1 1 8  2.263  42
2 1 5  1.743  31
1 1 10  2.051  24
1 0 7  2.916  21
1 1 2  2.833  18
2 0 16  1.359  16
2 2 0  1.444  13
1 1 4  2.685  13

• Assignment:
Could you say how many lines of the contents further up hold the word "from", as a bare number?

• Done:
3